Print only the last part of the data below, starting with the line that has "-1.9344 0.3".
'''
# 1
DFT (ωB97M-V/def2-TZVPD) results for one molecule with the formula C5H7IN2 at a distorted geometry.

Structure (XYZ):
```
15
Properties=species:S:1:pos:R:3:forces:R:3:nbo_charge:R:1
C -1.7056 -1.8925 -0.4459 0.1 0.0 0.1 -0.643
C -0.6360 -0.9517 -0.0445 0.2 0.8 -1.3 0.108
C 0.0068 0.0172 -0.7249 -0.1 -0.4 0.5 -0.261
C 0.9802 0.6019 0.2330 0.2 -0.1 -0.9 0.002
C 0.9491 2.0983 0.4485 0.1 -0.1 0.1 -0.634
I 3.0067 -0.0286 -0.3514 -0.4 0.2 0.1 0.123
N 0.7602 -0.1568 1.4435 0.5 0.3 0.9 -0.166
N -0.1253 -1.0017 1.2655 -0.3 -0.6 0.8 -0.146
H -1.3291 -2.9132 -0.4009 0.0 -0.1 0.0 0.234
H -2.0484 -1.6788 -1.4544 0.0 0.0 0.0 0.224
H -2.5397 -1.8180 0.2490 -0.1 0.0 0.0 0.233
H -0.1154 0.3371 -1.7397 -0.1 0.0 -0.2 0.235
H 1.6439 2.3736 1.2382 0.0 0.0 0.0 0.237
H -0.0571 2.3889 0.7513 -0.1 0.0 0.0 0.227
H 1.2099 2.6243 -0.4672 0.0 0.0 0.0 0.227
```
Positions in Å, forces in eV/Å.

Computed properties:
* HOMO-LUMO gap: 8.6 eV
* E_HOMO: -0.344 Eh
* DFT total energy: -16377.936 eV
* SMILES: CC1=C[C@](C)(I)N=N1

---

# 2
DFT (ωB97M-V/def2-TZVPD) results for one molecule with the formula C5H7IN2 at a distorted geometry.

Structure (XYZ):
```
15
Properties=species:S:1:pos:R:3:forces:R:3:nbo_charge:R:1
C 1.4535 1.7982 0.6044 3.3 -1.3 -0.2 -0.412
C 1.9304 0.3035 0.6391 1.4 2.9 -0.6 -0.004
C 0.2099 2.0200 0.6329 -2.2 -0.8 0.0 -0.189
C -1.1586 -0.9081 -1.1793 -3.4 0.1 -1.5 -0.620
C -1.0467 -1.4557 0.2628 1.5 2.3 -3.0 -0.255
N 1.0972 -0.6061 0.6605 -1.3 -2.8 0.0 -0.153
N -0.1260 -0.5530 0.9295 -1.0 1.1 1.5 -0.161
I -1.4371 3.1013 0.5206 -0.2 0.4 0.1 0.316
H 2.2898 2.5259 0.4832 -0.8 -0.5 0.2 0.238
H 2.9574 -0.0161 0.5426 0.3 0.6 0.2 0.206
H -1.7806 -1.5356 -1.9344 0.3 0.7 1.7 0.205
H -0.2609 -0.9860 -1.6731 2.6 0.2 -0.7 0.204
H -1.5326 0.1646 -1.3171 0.5 -1.5 0.7 0.213
H -0.5986 -2.4027 0.1490 0.3 -1.4 0.4 0.207
H -1.9972 -1.4502 0.6794 -1.4 -0.1 1.4 0.204
```
Positions in Å, forces in eV/Å.

Computed properties:
* HOMO-LUMO gap (spin up / spin down): 7.6 / 7.3 eV
* E_HOMO (spin up / spin down): -0.286 / -0.282 Eh
* DFT total energy: -16373.497 eV

---

# 3
DFT (ωB97M-V/def2-TZVPD) results for one molecule with the formula C5H7IS at a distorted geometry.

Structure (XYZ):
```
14
Properties=species:S:1:pos:R:3:forces:R:3:nbo_charge:R:1
C 0.3865 0.0276 1.4294 0.1 0.3 3.3 -0.637
C 0.7085 -0.1361 -0.0175 2.0 -1.6 -1.7 -0.117
C 2.2541 -0.9078 -0.2749 -2.6 0.9 0.7 -0.326
S 2.4098 -2.4512 -0.6992 0.1 1.1 0.2 0.158
I 3.8229 0.4424 0.2320 -0.3 -0.4 -0.2 0.173
C -0.3311 -0.6652 -0.9723 -1.6 2.5 0.9 -0.428
C 0.2890 0.8107 -1.1019 -3.0 0.7 0.3 -0.429
H -0.4789 0.7636 1.7590 2.0 -1.0 -1.2 0.238
H 1.3792 0.2427 2.0483 -2.2 0.0 -1.2 0.233
H 0.0001 -0.9251 1.8910 0.6 0.6 -0.7 0.225
H -1.4313 -0.6542 -0.5492 2.4 -0.3 -1.1 0.221
H -0.0823 -1.2907 -1.8176 0.0 -0.3 0.4 0.237
H 0.8333 1.0246 -2.0045 0.7 -0.4 0.0 0.229
H -0.4818 1.7076 -0.9527 1.9 -2.1 0.4 0.223
```
Positions in Å, forces in eV/Å.

Computed properties:
* HOMO-LUMO gap: 8.3 eV
* E_HOMO: -0.328 Eh
* DFT total energy: -24231.515 eV
* SMILES: CC1(C(=S)I)CC1

---

# 4
DFT (ωB97M-V/def2-TZVPD) results for one molecule with the formula C5H7N at a distorted geometry.

Structure (XYZ):
```
13
Properties=species:S:1:pos:R:3:forces:R:3:nbo_charge:R:1
C -1.5082 -0.8840 0.2519 0.0 0.1 0.0 -0.793
C -0.6684 -0.4016 -0.8501 0.1 -0.1 0.3 0.204
C 1.1255 0.7604 0.2301 0.1 -0.1 0.1 -0.492
C 0.7857 -0.5531 -0.5466 0.0 -0.1 -0.1 -0.544
C 0.3028 1.9315 -0.1081 -0.7 0.8 -0.4 0.266
N -0.3588 2.8510 -0.3436 0.8 -0.8 0.3 -0.303
H -1.0536 -1.1718 1.2182 0.0 0.1 -0.2 0.181
H -2.4244 -0.3037 0.3978 0.1 -0.1 -0.1 0.255
H -1.8373 -1.8065 -0.2676 -0.1 -0.1 0.1 0.290
H 1.0203 0.5783 1.3012 -0.1 0.1 -0.1 0.251
H 2.1691 1.0195 0.0502 0.0 0.0 0.0 0.263
H 1.0459 -1.3973 0.1143 -0.1 0.2 0.0 0.200
H 1.4014 -0.6228 -1.4477 -0.1 0.2 0.1 0.222
```
Positions in Å, forces in eV/Å.

Computed properties:
* HOMO-LUMO gap: 8.5 eV
* E_HOMO: -0.314 Eh
* DFT total energy: -6784.450 eV

---

# 5
'''
H -1.7806 -1.5356 -1.9344 0.3 0.7 1.7 0.205
H -0.2609 -0.9860 -1.6731 2.6 0.2 -0.7 0.204
H -1.5326 0.1646 -1.3171 0.5 -1.5 0.7 0.213
H -0.5986 -2.4027 0.1490 0.3 -1.4 0.4 0.207
H -1.9972 -1.4502 0.6794 -1.4 -0.1 1.4 0.204
```
Positions in Å, forces in eV/Å.

Computed properties:
* HOMO-LUMO gap (spin up / spin down): 7.6 / 7.3 eV
* E_HOMO (spin up / spin down): -0.286 / -0.282 Eh
* DFT total energy: -16373.497 eV

---

# 3
DFT (ωB97M-V/def2-TZVPD) results for one molecule with the formula C5H7IS at a distorted geometry.

Structure (XYZ):
```
14
Properties=species:S:1:pos:R:3:forces:R:3:nbo_charge:R:1
C 0.3865 0.0276 1.4294 0.1 0.3 3.3 -0.637
C 0.7085 -0.1361 -0.0175 2.0 -1.6 -1.7 -0.117
C 2.2541 -0.9078 -0.2749 -2.6 0.9 0.7 -0.326
S 2.4098 -2.4512 -0.6992 0.1 1.1 0.2 0.158
I 3.8229 0.4424 0.2320 -0.3 -0.4 -0.2 0.173
C -0.3311 -0.6652 -0.9723 -1.6 2.5 0.9 -0.428
C 0.2890 0.8107 -1.1019 -3.0 0.7 0.3 -0.429
H -0.4789 0.7636 1.7590 2.0 -1.0 -1.2 0.238
H 1.3792 0.2427 2.0483 -2.2 0.0 -1.2 0.233
H 0.0001 -0.9251 1.8910 0.6 0.6 -0.7 0.225
H -1.4313 -0.6542 -0.5492 2.4 -0.3 -1.1 0.221
H -0.0823 -1.2907 -1.8176 0.0 -0.3 0.4 0.237
H 0.8333 1.0246 -2.0045 0.7 -0.4 0.0 0.229
H -0.4818 1.7076 -0.9527 1.9 -2.1 0.4 0.223
```
Positions in Å, forces in eV/Å.

Computed properties:
* HOMO-LUMO gap: 8.3 eV
* E_HOMO: -0.328 Eh
* DFT total energy: -24231.515 eV
* SMILES: CC1(C(=S)I)CC1

---

# 4
DFT (ωB97M-V/def2-TZVPD) results for one molecule with the formula C5H7N at a distorted geometry.

Structure (XYZ):
```
13
Properties=species:S:1:pos:R:3:forces:R:3:nbo_charge:R:1
C -1.5082 -0.8840 0.2519 0.0 0.1 0.0 -0.793
C -0.6684 -0.4016 -0.8501 0.1 -0.1 0.3 0.204
C 1.1255 0.7604 0.2301 0.1 -0.1 0.1 -0.492
C 0.7857 -0.5531 -0.5466 0.0 -0.1 -0.1 -0.544
C 0.3028 1.9315 -0.1081 -0.7 0.8 -0.4 0.266
N -0.3588 2.8510 -0.3436 0.8 -0.8 0.3 -0.303
H -1.0536 -1.1718 1.2182 0.0 0.1 -0.2 0.181
H -2.4244 -0.3037 0.3978 0.1 -0.1 -0.1 0.255
H -1.8373 -1.8065 -0.2676 -0.1 -0.1 0.1 0.290
H 1.0203 0.5783 1.3012 -0.1 0.1 -0.1 0.251
H 2.1691 1.0195 0.0502 0.0 0.0 0.0 0.263
H 1.0459 -1.3973 0.1143 -0.1 0.2 0.0 0.200
H 1.4014 -0.6228 -1.4477 -0.1 0.2 0.1 0.222
```
Positions in Å, forces in eV/Å.

Computed properties:
* HOMO-LUMO gap: 8.5 eV
* E_HOMO: -0.314 Eh
* DFT total energy: -6784.450 eV

---

# 5